Brief =
What is needed: retype the whole of the data further down word for word.

File =
[1]

Outcome =
[1]